Could you work out how many lines further down have the word "total" in them; a number is enough?
~~~
Density functional theory data (PBE) for BaPu2WN4 after structural relaxation.

a b c (Å): 3.5015 6.5278 12.1656
angles (deg): 90.00 90.00 105.56
Fractional positions:
Ba  0.0849  0.1697  0.7500
Ba  0.9151  0.8303  0.2500
Pu  0.3713  0.7426  0.5371
Pu  0.6287  0.2574  0.0371
Pu  0.6287  0.2574  0.4629
Pu  0.3713  0.7426  0.9629
W  0.8230  0.6459  0.7500
W  0.1770  0.3541  0.2500
N  0.2562  0.5125  0.1157
N  0.7438  0.4875  0.6157
N  0.7438  0.4875  0.8843
N  0.2562  0.5125  0.3843
N  0.0000  0.0000  0.5000
N  0.0000  0.0000  0.0000
N  0.4024  0.8048  0.7500
N  0.5976  0.1952  0.2500

Properties
**Raw total energy**: -10.470 eV per atom
~~~
1